
This tutorial is derived from a Software Carpentries lesson, and has been adapted to the particular context of the LDI Replication Lab. You may find that some instructions or context may not fully align with the rest of the Curriculum. If you are interested in viewing the complete lesson as originally intended, see the links in the footer.

The Unix Shell: Discussion

Alphabet Soup

If the command to find out who we are is whoami, the command to find out where we are ought to be called whereami, so why is it pwd instead? The usual answer is that in the early 1970s, when Unix was first being developed, every keystroke counted: the devices of the day were slow, and backspacing on a teletype was so painful that cutting the number of keystrokes in order to cut the number of typing mistakes was actually a win for usability. The reality is that commands were added to Unix one by one, without any master plan, by people who were immersed in its jargon. The result is as inconsistent as the roolz uv Inglish speling, but we’re stuck with it now.

┌──
## Na2NiH6C4N4O3 (PBE+U)

Data for an optimized crystal structure of Na2NiH6C4N4O3.

* space group: P-1 (2)
* total energy: -0.2200 Ha/atom
* total magnetic moment: 0.0 μB/f.u.

Unit cell a=7.2989 b=8.8673 c=15.1504 alpha=89.32 beta=87.40 gamma=83.64
Positions (direct):
Na 0.0000 0.0000 0.0000
Na 0.0000 0.5000 0.5000
Na 0.2397 0.0680 0.1928
Na 0.3135 0.4243 0.3111
Na 0.4535 0.2579 0.7568
Na 0.5465 0.7421 0.2432
Na 0.6865 0.5757 0.6889
Na 0.7603 0.9320 0.8072
Ni 0.2457 0.5122 0.9868
Ni 0.2503 0.9884 0.5171
Ni 0.7497 0.0116 0.4829
Ni 0.7543 0.4878 0.0132
H 0.0121 0.6496 0.7723
H 0.0152 0.7307 0.6823
H 0.0309 0.3925 0.6910
H 0.0698 0.1012 0.8126
H 0.0913 0.7872 0.1482
H 0.0991 0.7104 0.3520
H 0.3630 0.4939 0.6154
H 0.4168 0.0220 0.9010
H 0.4247 0.8616 0.7279
H 0.4382 0.7695 0.8143
H 0.4588 0.8629 0.0658
H 0.4994 0.6339 0.4234
H 0.5006 0.3661 0.5766
H 0.5412 0.1371 0.9342
H 0.5618 0.2305 0.1857
H 0.5753 0.1384 0.2721
H 0.5832 0.9780 0.0990
H 0.6370 0.5061 0.3846
H 0.9009 0.2896 0.6480
H 0.9087 0.2128 0.8518
H 0.9302 0.8988 0.1874
H 0.9691 0.6075 0.3090
H 0.9848 0.2693 0.3177
H 0.9879 0.3504 0.2277
C 0.1916 0.4663 0.8722
C 0.2127 0.3166 0.0232
C 0.2232 0.7903 0.5504
C 0.2392 0.0429 0.6351
C 0.2675 0.9336 0.3994
C 0.2707 0.1869 0.4827
C 0.2767 0.7110 0.9552
C 0.3028 0.5533 0.1011
C 0.6972 0.4467 0.8989
C 0.7233 0.2890 0.0448
C 0.7293 0.8131 0.5173
C 0.7325 0.0664 0.6006
C 0.7608 0.9571 0.3649
C 0.7768 0.2097 0.4496
C 0.7873 0.6834 0.9768
C 0.8084 0.5337 0.1278
N 0.1596 0.4361 0.7995
N 0.1905 0.1941 0.0484
N 0.2030 0.6654 0.5724
N 0.2368 0.0734 0.7105
N 0.2775 0.3128 0.4591
N 0.2834 0.8979 0.3248
N 0.2966 0.8381 0.9378
N 0.3387 0.5808 0.1736
N 0.6613 0.4192 0.8264
N 0.7034 0.1619 0.0622
N 0.7166 0.1021 0.6752
N 0.7225 0.6872 0.5409
N 0.7632 0.9266 0.2895
N 0.7970 0.3346 0.4276
N 0.8095 0.8059 0.9516
N 0.8404 0.5639 0.2005
O 0.0356 0.8922 0.1439
O 0.0573 0.6095 0.3563
O 0.0623 0.2767 0.2637
O 0.4679 0.4206 0.6316
O 0.4922 0.2131 0.2410
O 0.4944 0.9082 0.1200
O 0.5056 0.0918 0.8800
O 0.5078 0.7869 0.7590
O 0.5321 0.5794 0.3684
O 0.9377 0.7233 0.7363
O 0.9427 0.3905 0.6437
O 0.9644 0.1078 0.8561

----------

No. 1
MgV4O8: optimized geometry, PBE with a Hubbard U.

a = 3.069 Å, b = 10.633 Å, c = 5.049 Å
α = 90.00°, β = 107.50°, γ = 90.00°
Space group Pm (No. 6)
Symmetry-distinct sites (fractional):
Mg 0.000 0.000 0.000 x1
V 0.126 0.339 0.252 x2
V 0.391 0.210 0.778 x2
O 0.028 0.176 0.054 x2
O 0.186 0.500 0.377 x1
O 0.379 0.000 0.755 x1
O 0.504 0.364 0.005 x2
O 0.752 0.266 0.506 x2

Properties
energy relative to the elements: -2.378 eV per atom
total energy: -96.14 eV per cell
total magnetization: 2.0 μB per formula unit
corrected total energy (MP2020 scheme): -108.43 eV per cell

***

No. 2
Li2FePCO7: optimized geometry, PBE with a Hubbard U.

a = 5.080 Å, b = 10.033 Å, c = 11.168 Å
α = 73.91°, β = 88.43°, γ = 83.65°
Space group P1 (No. 1)
Symmetry-distinct sites (fractional):
Li 0.000 0.000 0.000 x1
Li 0.012 0.793 0.475 x1
Li 0.483 0.233 0.200 x1
└──

Job Control Codes

The shell accepts a few special commands that allow users to interact with running processes or programs. You can enter each of these “control codes” by holding down the Ctrl key and then pressing one of the control characters. In other tutorials, you may see the term Control or the ^ used to represent the Ctrl key (e.g. the following are all equivalent Ctrl-C, Ctrl+C, Control-C, Control+C, ^C).

• What comes next are crystal structures, not part of the piece:
........
(1)
This record from the Materials Project describes crystalline Na17Pd15F48 at its relaxed geometry. The functional is PBE-GGA.

The total magnetic moment is 11.41 μB/cell. As for the crystal system: triclinic. The value obtained for the formation energy is -2135.0 meV per atom. Its energy is -681.40 eV per cell.

Unit cell a=6.849 b=6.934 c=50.060 alpha=89.01 beta=86.75 gamma=89.86
Fractional positions:
Na 0.000 0.000 0.000
Na 0.000 0.259 0.500
Na 0.063 0.750 0.312
Na 0.123 0.497 0.626
Na 0.125 0.241 0.125
Na 0.125 0.759 0.125
Na 0.188 0.250 0.938
Na 0.188 0.750 0.938
Na 0.245 0.259 0.750
Na 0.252 0.996 0.248
Na 0.255 0.741 0.750
Na 0.373 0.504 0.877
Na 0.375 0.241 0.375
Na 0.375 0.759 0.375
Na 0.437 0.251 0.187
Na 0.437 0.750 0.187
Na 0.500 0.259 0.000
Na 0.500 0.741 0.000
Na 0.502 0.997 0.499
Na 0.563 0.750 0.813
Na 0.625 0.500 0.125
Na 0.625 0.759 0.625
Na 0.630 0.241 0.625
Na 0.688 0.750 0.437
Na 0.744 0.259 0.249
Na 0.750 0.000 0.750
Na 0.750 0.741 0.249
Na 0.812 0.250 0.062
Na 0.812 0.750 0.062
Na 0.875 0.507 0.375
Na 0.875 0.759 0.876
Na 0.882 0.241 0.876
Na 0.937 0.250 0.688
Na 0.996 0.741 0.499
Pd 0.000 0.500 0.000
Pd 0.050 0.006 0.808
Pd 0.062 0.250 0.312
Pd 0.074 0.494 0.816
Pd 0.124 0.001 0.625
Pd 0.176 0.493 0.433
Pd 0.199 0.007 0.442
Pd 0.250 0.501 0.250
Pd 0.301 0.999 0.058
Pd 0.312 0.750 0.563
Pd 0.313 0.250 0.562
Pd 0.324 0.501 0.066
Pd 0.375 0.999 0.875
Pd 0.425 0.505 0.683
Pd 0.449 0.995 0.691
Pd 0.501 0.501 0.500
Pd 0.551 0.007 0.308
Pd 0.562 0.250 0.813
Pd 0.574 0.493 0.317
Pd 0.625 0.000 0.125
Pd 0.675 0.499 0.933
Pd 0.688 0.250 0.437
Pd 0.699 0.001 0.941
Pd 0.750 0.500 0.750
Pd 0.800 0.000 0.558
Pd 0.825 0.500 0.566
Pd 0.875 0.998 0.375
Pd 0.926 0.499 0.183
Pd 0.937 0.750 0.688
Pd 0.950 0.001 0.192
F 0.002 0.005 0.848
F 0.016 0.999 0.053
F 0.039 0.499 0.063
F 0.039 0.503 0.856
F 0.042 0.791 0.358
F 0.045 0.210 0.357
F 0.078 0.290 0.268
F 0.082 0.710 0.267
F 0.084 0.995 0.769
F 0.094 0.002 0.561
F 0.116 0.500 0.572
F 0.124 0.496 0.777
F 0.127 0.502 0.473
F 0.136 0.506 0.678
F 0.157 0.991 0.689
F 0.167 0.004 0.481
F 0.169 0.293 0.984
F 0.171 0.710 0.984
F 0.204 0.791 0.891
F 0.208 0.208 0.891
F 0.209 0.494 0.394
F 0.212 0.501 0.186
F 0.234 0.001 0.197
F 0.249 0.999 0.402
F 0.256 0.004 0.098
F 0.262 0.007 0.304
F 0.282 0.490 0.314
F 0.288 0.504 0.106
F 0.292 0.790 0.607
F 0.295 0.211 0.607
F 0.331 0.288 0.518
F 0.332 0.709 0.518
F 0.337 0.996 0.019
F 0.343 0.009 0.811
F 0.363 0.493 0.821
F 0.369 0.496 0.027
F 0.376 0.504 0.723
F 0.391 0.499 0.928
F 0.413 0.999 0.938
F 0.415 0.005 0.731
F 0.417 0.292 0.234
F 0.420 0.709 0.234
F 0.454 0.790 0.141
F 0.456 0.208 0.141
F 0.458 0.497 0.644
F 0.468 0.492 0.436
F 0.488 0.007 0.447
F 0.498 0.995 0.652
F 0.501 0.006 0.348
F 0.509 0.000 0.553
F 0.531 0.499 0.564
F 0.541 0.501 0.356
F 0.543 0.790 0.858
F 0.547 0.211 0.857
F 0.579 0.290 0.768
F 0.584 0.710 0.766
F 0.586 0.001 0.062
F 0.586 0.997 0.269
F 0.608 0.501 0.072
F 0.623 0.495 0.277
F 0.632 0.504 0.973
F 0.641 0.499 0.178
........

For new shell users, these control codes can all appear to have the same effect: they make things “go away.” But it is helpful to understand the differences. In general, if something went wrong and you just want to get your shell prompt back, it is better to use Ctrl-C.

Other Shells

• Unrelated to this text: crystal structures:
KMg6CrO8: optimized geometry, PBE with a Hubbard U. Values from VASP.

```
&SYSTEM
  ibrav = 0, nat = 16, ntyp = 4
/
ATOMIC_SPECIES
Mg 24.30 Mg.upf
O 16.00 O.upf
K 39.10 K.upf
Cr 52.00 Cr.upf
ATOMIC_POSITIONS angstrom
Mg -1.373 -1.688 2.169
Mg 1.049 -2.879 0.700
Mg -5.569 -3.061 2.809
Mg -1.570 -2.497 -0.861
Mg -3.045 -4.218 1.324
Mg -5.767 -3.870 -0.221
O 0.623 -1.035 1.865
O -3.668 -3.183 -0.541
O -5.911 -1.934 0.901
O -5.060 -4.878 1.631
O -3.471 -2.375 2.489
O -2.277 -0.745 0.347
O -1.031 -3.559 1.017
O 0.426 -1.844 -1.165
K 0.000 0.000 0.000
Cr -4.094 -1.340 0.624
CELL_PARAMETERS angstrom
-8.188 -2.679 1.248
0.851 -3.687 -2.331
1.246 -2.070 3.730
```

Before Bash became popular in the end of nineties, scientists widely used (and some still use) another shell, C-shell, or Csh. Bash and Csh have similar feature sets, but their syntax rules are different and this makes them incompatible with each other. A few other shells have appeared since, including ksh, zsh, and a number of others; they are mostly compatible with Bash, and Bash is the default shell on most modern implementations of Unix (including most packages that provide Unix-like tools for Windows) but if you get strange errors in shell scripts written by colleagues, check to see which shell they were written for.

Bash Configurations

Want to customize paths, environment variables, aliases, and other behaviors of your shell? This excellent blog post “Bash Configurations Demystified” from Dalton Hubble covers tips, tricks, and how to avoid dangers.